Entries:
=====
ORCA calculation (ωB97M-V/def2-TZVPD) on one molecule with the formula C3H2N4O.

Calculated values
Orbital gap in eV: 8.53
SMILES string: O=c1ncncnn1

Cartesian coordinates (Å):
O 2.03484 0.20980 0.78442
C 1.13197 0.14268 -0.00659
N 0.36327 1.19264 -0.49720
C -0.88796 1.34155 -0.29793
N -1.65126 0.42412 0.46094
C -1.32850 -0.80826 0.47691
N -0.36405 -1.49328 -0.37326
N 0.73752 -1.04265 -0.70484
H -1.43413 2.23643 -0.55914
H -1.93601 -1.53649 1.04985
=====

Activity:
Set down the lines further above up to the one that holds "-1.32850 -0.80826", that line included.

Here it is:
ORCA calculation (ωB97M-V/def2-TZVPD) on one molecule with the formula C3H2N4O.

Calculated values
Orbital gap in eV: 8.53
SMILES string: O=c1ncncnn1

Cartesian coordinates (Å):
O 2.03484 0.20980 0.78442
C 1.13197 0.14268 -0.00659
N 0.36327 1.19264 -0.49720
C -0.88796 1.34155 -0.29793
N -1.65126 0.42412 0.46094
C -1.32850 -0.80826 0.47691